Give back the lines further down from the one with "0.0000 0.5008" to the one with "P-1 (No." character by character.

/*
Entry 1:
Zn3SiNi2 | r²SCAN | optimized geometry

a b c (Å): 10.5913 10.5913 10.5913
angles (deg): 90.00 90.00 90.00
Last column: nearest neighbours and their distance in Å.
Space group Fd-3m (No. 227, origin choice 2)
Inequivalent atoms, fractional coordinates:
Zn 0.0619 0.3750 0.3750 [48 per cell]  4 Ni 2.46-2.73, 2 Si 2.73
Si 0.0000 0.0000 0.5000 [16 per cell]  6 Ni 2.31
Ni 0.0387 0.0387 0.7113 [32 per cell]  3 Si 2.31, 3 Zn 2.46, 3 Ni 2.59

## Properties
Energy relative to the elements (meV per atom): -320

Entry 2:
Ca3Ge4Au7 | r²SCAN | optimized geometry

a b c (Å): 13.8433 9.7016 4.3950
angles (deg): 90.00 108.42 90.00
Last column: nearest neighbours and their distance in Å.
Space group C2 (No. 5)
Inequivalent atoms, fractional coordinates:
Ca 0.0000 0.0000 0.0000 [2 per cell]  6 Au 3.06-3.25, 2 Ge 3.18
Ca 0.1891 0.5040 0.6891 [4 per cell]  9 Au 3.12-3.45, 5 Ge 3.12-3.43
Ge 0.1313 0.2748 0.1317 [4 per cell]  1 Ge 2.60, 5 Au 2.70-2.82
Ge 0.1808 0.8578 0.6806 [4 per cell]  3 Au 2.53-2.55, 1 Ge 2.60
Au 0.0000 0.3081 0.5000 [2 per cell]  4 Au 2.80-2.89, 4 Ge 2.81-2.82, 2 Ca 3.13
Au 0.0000 0.5008 0.0000 [2 per cell]  2 Ge 2.79, 6 Au 2.89-2.92
Au 0.0000 0.6978 0.5000 [2 per cell]  2 Ge 2.84, 6 Au 2.84-2.91, 2 Ca 3.12
Au 0.1337 0.7415 0.1339 [4 per cell]  2 Ge 2.55, 2 Au 2.84-2.85
Au 0.1595 0.1168 0.6603 [4 per cell]  3 Ge 2.53-2.71, 1 Au 2.80

## Properties
Energy relative to the elements (meV per atom): -538

Entry 3:
Tl9BiSe6 | r²SCAN | optimized geometry

a b c (Å): 8.5562 8.5575 8.9076
angles (deg): 118.69 118.63 90.03
Last column: nearest neighbours and their distance in Å.
Space group P-1 (No. 2)
Inequivalent atoms, fractional coordinates:
Tl 0.0000 0.0000 0.0000 [1 per cell]  6 Se 3.39-3.57
Tl 0.0051 0.4852 0.6904 [2 per cell]  3 Se 3.02-3.29
Tl 0.2053 0.0047 0.6907 [2 per cell]  3 Se 3.02-3.29
Tl 0.3138 0.7949 0.3088 [2 per cell]  3 Se 3.02-3.29
Tl 0.4861 0.6865 0.6912 [2 per cell]  3 Se 3.02-3.30
Bi 0.5000 0.5000 0.0000 [1 per cell]  6 Se 2.97-3.00
Se 0.1816 0.3523 0.9999 [2 per cell]  1 Bi 3.00, 4 Tl 3.02-3.19
Se 0.2738 0.2722 0.5457 [2 per cell]  1 Bi 2.97, 4 Tl 3.29-3.30
Se 0.3520 0.8180 0.9994 [2 per cell]  1 Bi 3.00, 4 Tl 3.02-3.20

## Properties
Energy relative to the elements (meV per atom): -457

Entry 4:
Mn2SnO4 | r²SCAN | optimized geometry

a b c (Å): 6.2097 6.3284 8.9711
angles (deg): 90.00 90.00 90.00
Last column: nearest neighbours and their distance in Å.
Space group Imma (No. 74)
Inequivalent atoms, fractional coordinates:
Mn 0.0000 0.2500 0.1386 [4 per cell]  4 O 2.06-2.11
Mn 0.2500 0.2500 0.7500 [4 per cell]  6 O 2.16-2.24
Sn 0.0000 0.0000 0.5000 [4 per cell]  6 O 2.05-2.12
O 0.0000 0.0147 0.7279 [8 per cell]  1 Sn 2.05, 3 Mn 2.06-2.16
O 0.2264 0.2500 0.5006 [8 per cell]  2 Mn 2.11-2.24, 2 Sn 2.12

## Properties
Energy relative to the elements (meV per atom): -1930

Entry 5:
Si | r²SCAN | optimized geometry

a b c (Å): 14.6771 14.6771 14.6771
angles (deg): 90.00 90.00 90.00
Last column: nearest neighbours and their distance in Å.
Space group Fd-3m (No. 227, origin choice 2)
Inequivalent atoms, fractional coordinates:
Si 0.0143 0.0143 0.2357 [32 per cell]  3 Si 2.30
Si 0.0662 0.0662 0.8718 [96 per cell]  4 Si 2.30-2.44
Si 0.1250 0.1250 0.1250 [8 per cell]  4 Si 2.82

## Properties
Energy relative to the elements (meV per atom): 393
ΔE to the lowest computed polymorph (eV per atom): 0.393

Entry 6:
SnRh3 | r²SCAN | optimized geometry

a b c (Å): 5.5990 5.5990 4.4725
angles (deg): 90.00 90.00 120.00
Last column: nearest neighbours and their distance in Å.
Space group P6_3/mmc (No. 194)
Inequivalent atoms, fractional coordinates:
Sn 0.3333 0.6667 0.2500 [2 per cell]  12 Rh 2.78-2.80
Rh 0.1628 0.3257 0.7500 [6 per cell]  8 Rh 2.74-2.86, 4 Sn 2.78-2.80

## Properties
Energy relative to the elements (meV per atom): -268

Entry 7:
SmP4HO12 | r²SCAN | optimized geometry

a b c (Å): 7.1362 8.5823 8.8592
angles (deg): 99.11 112.21 106.66
Last column: nearest neighbours and their distance in Å.
*/

Au 0.0000 0.5008 0.0000 [2 per cell]  2 Ge 2.79, 6 Au 2.89-2.92
Au 0.0000 0.6978 0.5000 [2 per cell]  2 Ge 2.84, 6 Au 2.84-2.91, 2 Ca 3.12
Au 0.1337 0.7415 0.1339 [4 per cell]  2 Ge 2.55, 2 Au 2.84-2.85
Au 0.1595 0.1168 0.6603 [4 per cell]  3 Ge 2.53-2.71, 1 Au 2.80

## Properties
Energy relative to the elements (meV per atom): -538

Entry 3:
Tl9BiSe6 | r²SCAN | optimized geometry

a b c (Å): 8.5562 8.5575 8.9076
angles (deg): 118.69 118.63 90.03
Last column: nearest neighbours and their distance in Å.
Space group P-1 (No. 2)